[Contents]
+++
Calculated powder diffraction line list of Ac2TbHo2 for Cu Kα, from a structure optimized by DFT (PBE).
No peak broadening, texture or thermal motion is included.

a b c (Å): 6.568 7.056 9.583
angles (deg): 71.95 89.99 62.27
Sites, in units of the cell vectors:
Ac 0.032 0.110 0.150
Ac 0.358 0.111 0.651
Ac 0.642 0.889 0.349
Ac 0.968 0.890 0.850
Tb 0.241 0.693 0.552
Tb 0.759 0.307 0.448
Ho 0.178 0.500 0.249
Ho 0.433 0.309 0.949
Ho 0.567 0.691 0.051
Ho 0.822 0.500 0.751

Main lines, by angle (2θ = 15–90°):
2θ 27.2, I = 11.2, (2 1 0); 2θ 27.3, I = 24.0, (1 0 2); 2θ 30.1, I = 36.2, (0 2 2); 2θ 31.1, I = 100.0, (2 2 1); 2θ 31.3, I = 49.1, (1 0 -3); 2θ 40.9, I = 15.6, (1 3 0); 2θ 48.1, I = 20.2, (3 1 2); 2θ 54.0, I = 21.1, (2 4 3); 2θ 57.7, I = 11.6, (3 4 0); 2θ 57.8, I = 17.4, (3 3 4)

* * * * *

[1]
Sm3Cd2Ag2: computed powder XRD pattern (λ = 1.5418 Å (Cu Kα)), based on a PBE-relaxed structure.

Atomic structure:
```
Sm3Cd2Ag2
1.0
4.618 0.000 0.000
0.000 22.093 0.000
0.000 0.000 3.507
Sm Cd Ag
6 4 4
direct
0.000 0.000 0.000 Sm
0.000 0.160 0.000 Sm
0.000 0.840 0.000 Sm
0.500 0.340 0.000 Sm
0.500 0.500 0.000 Sm
0.500 0.660 0.000 Sm
0.000 0.423 0.500 Cd
0.000 0.577 0.500 Cd
0.500 0.077 0.500 Cd
0.500 0.923 0.500 Cd
0.000 0.286 0.500 Ag
0.000 0.714 0.500 Ag
0.500 0.214 0.500 Ag
0.500 0.786 0.500 Ag
```

Principal peaks in the range 5° ≤ 2θ ≤ 70°, by angle:
two_theta, I_rel
32.3, 94
34.4, 100
35.3, 59
38.1, 14
39.0, 36
52.2, 15
53.6, 35
64.0, 30
64.1, 19
67.0, 14

***

[2]
Sm4Cd5Ag: computed powder XRD pattern (λ = 1.5418 Å (Cu Kα)), based on a PBE-relaxed structure.

Atomic structure:
```
Sm4Cd5Ag
1.0
7.996 -2.592 0.000
7.996 2.592 0.000
-1.974 0.000 6.300
Sm Cd Ag
4 5 1
+++

[Assignment]
Quote only the lines above with the word "PBE" in them, please.

[Reply]
Calculated powder diffraction line list of Ac2TbHo2 for Cu Kα, from a structure optimized by DFT (PBE).